Request.
Transcribe all of the rows below with every line break kept, please.

Data.
5
Lattice="-1.6401 0.3989 3.7129 -2.4458 -3.1791 -0.7388 4.2649 -3.8141 2.2937" Properties=species:S:1:pos:R:3 comment="MgBeIN2, optimized geometry, DFT PBE" polymorph_energy_ev_per_fu=2.29 magnetic_moment_mub_per_cell=3.6 sg="P4/mmm (123)" formation_energy_uncorrected_ev_per_atom=1.49 pbc="T T T"
Mg 0.0000 0.0000 0.0000
N -1.2229 -1.5896 -0.3694
N -0.8200 0.1995 1.8564
Be 0.0895 -3.2972 2.6339
I 2.1324 -1.9071 1.1469

----------

Entry 1:
## K2Bi7Pd12 (PBE-GGA)

Data for K2Bi7Pd12 after structural relaxation.

a b c (Å): 10.7941 10.7941 4.6584
angles (deg): 90.00 90.00 120.00
With the nearest neighbours (Å) after each atom.
Space group P-3 (No. 147)
Symmetry-distinct sites (fractional):
1 K 0.3333 0.6667 0.2196 x2  9 Pd 3.47-3.89, 6 Bi 3.51-3.64
2 Bi 0.0000 0.0000 0.5000 x1  6 Pd 2.78
3 Bi 0.1073 0.7109 0.6986 x6  7 Pd 2.76-2.95
4 Pd 0.0497 0.4316 0.7899 x6  4 Bi 2.79-2.88, 3 Pd 2.91-3.04
5 Pd 0.1219 0.2508 0.1800 x6  4 Bi 2.76-2.95, 4 Pd 2.88-3.04

Properties
* uncorrected energy: -97.23 eV per cell
* total magnetization: 0.00 μB per cell
* E_form: -0.26 eV/atom



Entry 2:
## CaAc2Pd5 (PBE-GGA)

Data for CaAc2Pd5 after structural relaxation.

a b c (Å): 6.8257 6.8257 7.8596
angles (deg): 90.00 90.00 90.00
With the nearest neighbours (Å) after each atom.
Space group I4mm (No. 107)
Symmetry-distinct sites (fractional):
1 Ca 0.0000 0.0000 0.0000 x2  5 Pd 2.89-2.98
2 Ac 0.0000 0.5000 0.1372 x4  10 Pd 3.07-3.41
3 Pd 0.0000 0.0000 0.6326 x2  4 Pd 2.87, 1 Ca 2.89
4 Pd 0.2089 0.2089 0.3729 x8  3 Pd 2.85-2.87, 1 Ca 2.98, 2 Ac 3.07

Properties
* uncorrected energy: -83.13 eV per cell
* total magnetization: 0.00 μB per cell
* E_form: -0.67 eV/atom



Entry 3:
## NdSmCl2 (PBE-GGA)

Data for NdSmCl2 after structural relaxation.

a b c (Å): 3.5734 3.5734 26.5689
angles (deg): 90.00 90.00 120.00
With the nearest neighbours (Å) after each atom.
Space group R3m (No. 160, hexagonal axes)
Symmetry-distinct sites (fractional):
1 Nd 0.0000 0.0000 0.0000 x3  6 Cl 3.03-3.07
2 Sm 0.0000 0.0000 0.1649 x3  6 Cl 2.99-3.02
3 Cl 0.0000 0.0000 0.5811 x3  3 Sm 3.02, 3 Nd 3.07
4 Cl 0.0000 0.0000 0.7499 x3  3 Sm 2.99, 3 Nd 3.03

Properties
* uncorrected energy: -55.79 eV per cell
* total magnetization: 0.00 μB per cell
* E_form (uncorrected): -1.35 eV per atom
* energy above the most stable polymorph in this dataset: 0 meV/atom



Entry 4:
## NaTiAl2 (PBE-GGA)

Data for NaTiAl2 after structural relaxation.

a b c (Å): 6.6462 6.6462 6.6462
angles (deg): 90.00 90.00 90.00
With the nearest neighbours (Å) after each atom.
Space group Fm-3m (No. 225)
Symmetry-distinct sites (fractional):
1 Na 0.0000 0.0000 0.0000 x4  8 Al 2.88
2 Ti 0.0000 0.0000 0.5000 x4  8 Al 2.88
3 Al 0.2500 0.2500 0.2500 x8  4 Na 2.88, 4 Ti 2.88

Properties
* uncorrected energy: -63.76 eV per cell
* total magnetization: 0.00 μB per cell
* energy above the most stable polymorph in this dataset: 0 meV/atom
* E_form: 0.19 eV/atom



Entry 5:
## VTc3Hg (PBE-GGA)

Data for VTc3Hg after structural relaxation.

a b c (Å): 4.5108 4.5108 4.5108
angles (deg): 90.00 90.00 90.00
With the nearest neighbours (Å) after each atom.
Space group Pm-3m (No. 221)
Symmetry-distinct sites (fractional):
1 V 0.0000 0.0000 0.0000 x1  6 Tc 2.26
2 Tc 0.0000 0.0000 0.5000 x3  2 V 2.26
3 Hg 0.5000 0.5000 0.5000 x1  12 Tc 3.19

Properties
* uncorrected energy: -34.54 eV per cell
* total magnetization: 2.22 μB per cell
* energy above the most stable polymorph in this dataset: 0 meV/atom
* E_form: 1.20 eV/atom



Entry 6:
## K2LiNd4Nb2O12 (PBE-GGA)

Data for K2LiNd4Nb2O12 after structural relaxation.

a b c (Å): 12.7462 5.7772 8.8647
angles (deg): 90.00 104.06 90.00
With the nearest neighbours (Å) after each atom.
Space group C2 (No. 5)
Symmetry-distinct sites (fractional):
1 K 0.1203 0.0000 0.4807 x4  7 O 2.72-2.94
2 Li 0.0000 0.4937 0.5000 x2  6 O 2.09-2.23
3 Nd 0.0820 0.5016 0.1955 x4  6 O 2.32-2.49
4 Nd 0.1276 0.0018 0.9209 x4  8 O 2.39-2.63
5 Nb 0.1728 0.5018 0.7189 x4  5 O 1.92-2.04

Worked solution.
5
Lattice="-1.6401 0.3989 3.7129 -2.4458 -3.1791 -0.7388 4.2649 -3.8141 2.2937" Properties=species:S:1:pos:R:3 comment="MgBeIN2, optimized geometry, DFT PBE" polymorph_energy_ev_per_fu=2.29 magnetic_moment_mub_per_cell=3.6 sg="P4/mmm (123)" formation_energy_uncorrected_ev_per_atom=1.49 pbc="T T T"
Mg 0.0000 0.0000 0.0000
N -1.2229 -1.5896 -0.3694
N -0.8200 0.1995 1.8564
Be 0.0895 -3.2972 2.6339
I 2.1324 -1.9071 1.1469

----------

Entry 1:
## K2Bi7Pd12 (PBE-GGA)

Data for K2Bi7Pd12 after structural relaxation.

a b c (Å): 10.7941 10.7941 4.6584
angles (deg): 90.00 90.00 120.00
With the nearest neighbours (Å) after each atom.
Space group P-3 (No. 147)
Symmetry-distinct sites (fractional):
1 K 0.3333 0.6667 0.2196 x2  9 Pd 3.47-3.89, 6 Bi 3.51-3.64
2 Bi 0.0000 0.0000 0.5000 x1  6 Pd 2.78
3 Bi 0.1073 0.7109 0.6986 x6  7 Pd 2.76-2.95
4 Pd 0.0497 0.4316 0.7899 x6  4 Bi 2.79-2.88, 3 Pd 2.91-3.04
5 Pd 0.1219 0.2508 0.1800 x6  4 Bi 2.76-2.95, 4 Pd 2.88-3.04

Properties
* uncorrected energy: -97.23 eV per cell
* total magnetization: 0.00 μB per cell
* E_form: -0.26 eV/atom



Entry 2:
## CaAc2Pd5 (PBE-GGA)

Data for CaAc2Pd5 after structural relaxation.

a b c (Å): 6.8257 6.8257 7.8596
angles (deg): 90.00 90.00 90.00
With the nearest neighbours (Å) after each atom.
Space group I4mm (No. 107)
Symmetry-distinct sites (fractional):
1 Ca 0.0000 0.0000 0.0000 x2  5 Pd 2.89-2.98
2 Ac 0.0000 0.5000 0.1372 x4  10 Pd 3.07-3.41
3 Pd 0.0000 0.0000 0.6326 x2  4 Pd 2.87, 1 Ca 2.89
4 Pd 0.2089 0.2089 0.3729 x8  3 Pd 2.85-2.87, 1 Ca 2.98, 2 Ac 3.07

Properties
* uncorrected energy: -83.13 eV per cell
* total magnetization: 0.00 μB per cell
* E_form: -0.67 eV/atom



Entry 3:
## NdSmCl2 (PBE-GGA)

Data for NdSmCl2 after structural relaxation.

a b c (Å): 3.5734 3.5734 26.5689
angles (deg): 90.00 90.00 120.00
With the nearest neighbours (Å) after each atom.
Space group R3m (No. 160, hexagonal axes)
Symmetry-distinct sites (fractional):
1 Nd 0.0000 0.0000 0.0000 x3  6 Cl 3.03-3.07
2 Sm 0.0000 0.0000 0.1649 x3  6 Cl 2.99-3.02
3 Cl 0.0000 0.0000 0.5811 x3  3 Sm 3.02, 3 Nd 3.07
4 Cl 0.0000 0.0000 0.7499 x3  3 Sm 2.99, 3 Nd 3.03

Properties
* uncorrected energy: -55.79 eV per cell
* total magnetization: 0.00 μB per cell
* E_form (uncorrected): -1.35 eV per atom
* energy above the most stable polymorph in this dataset: 0 meV/atom



Entry 4:
## NaTiAl2 (PBE-GGA)

Data for NaTiAl2 after structural relaxation.

a b c (Å): 6.6462 6.6462 6.6462
angles (deg): 90.00 90.00 90.00
With the nearest neighbours (Å) after each atom.
Space group Fm-3m (No. 225)
Symmetry-distinct sites (fractional):
1 Na 0.0000 0.0000 0.0000 x4  8 Al 2.88
2 Ti 0.0000 0.0000 0.5000 x4  8 Al 2.88
3 Al 0.2500 0.2500 0.2500 x8  4 Na 2.88, 4 Ti 2.88

Properties
* uncorrected energy: -63.76 eV per cell
* total magnetization: 0.00 μB per cell
* energy above the most stable polymorph in this dataset: 0 meV/atom
* E_form: 0.19 eV/atom



Entry 5:
## VTc3Hg (PBE-GGA)

Data for VTc3Hg after structural relaxation.

a b c (Å): 4.5108 4.5108 4.5108
angles (deg): 90.00 90.00 90.00
With the nearest neighbours (Å) after each atom.
Space group Pm-3m (No. 221)
Symmetry-distinct sites (fractional):
1 V 0.0000 0.0000 0.0000 x1  6 Tc 2.26
2 Tc 0.0000 0.0000 0.5000 x3  2 V 2.26
3 Hg 0.5000 0.5000 0.5000 x1  12 Tc 3.19

Properties
* uncorrected energy: -34.54 eV per cell
* total magnetization: 2.22 μB per cell
* energy above the most stable polymorph in this dataset: 0 meV/atom
* E_form: 1.20 eV/atom



Entry 6:
## K2LiNd4Nb2O12 (PBE-GGA)

Data for K2LiNd4Nb2O12 after structural relaxation.

a b c (Å): 12.7462 5.7772 8.8647
angles (deg): 90.00 104.06 90.00
With the nearest neighbours (Å) after each atom.
Space group C2 (No. 5)
Symmetry-distinct sites (fractional):
1 K 0.1203 0.0000 0.4807 x4  7 O 2.72-2.94
2 Li 0.0000 0.4937 0.5000 x2  6 O 2.09-2.23
3 Nd 0.0820 0.5016 0.1955 x4  6 O 2.32-2.49
4 Nd 0.1276 0.0018 0.9209 x4  8 O 2.39-2.63
5 Nb 0.1728 0.5018 0.7189 x4  5 O 1.92-2.04